Job:
Your job: start at the top of the material underneath and reproduce each line, ending with the one that has "0.8072".
Input:
Calculated PXRD pattern
Compound: AcPbAu2
Radiation: CuKα
Structure: DFT lattice parameters and positions (GGA-PBE)
Neutral-atom scattering factors, no anomalous dispersion.

Structural model:
```
data_AcPbAu2
_chemical_formula_sum 'Ac4 Pb4 Au8'
_cell_length_a 7.528
_cell_length_b 7.528
_cell_length_c 7.528
_cell_angle_alpha 90.00
_cell_angle_beta 90.00
_cell_angle_gamma 90.00
_symmetry_space_group_name_H-M 'F m -3 m'
_symmetry_Int_Tables_number 225
_symmetry_space_group_name_Hall '-F 4 2 3'
loop_
_atom_site_label
_atom_site_fract_x
_atom_site_fract_y
_atom_site_fract_z
Ac1 0.000 0.000 0.000
Pb1 0.000 0.000 0.500
Au1 0.250 0.250 0.250
```

Top 3 peaks for 2θ from 5° to 70°, in order of falling intensity:
d 2.661, intensity 100, hkl 2 2 0
d 1.537, intensity 39, hkl 4 2 2
d 1.882, intensity 18, hkl 4 0 0

* * * * *

Simulated powder diffractogram
Compound: BeIn2Se
Radiation: Cu Kα X-rays
Structure: a crystal structure in Alexandria, relaxed with GGA-PBE
Kinematic intensities with the Lorentz-polarization factor, no thermal factor.

Main lines, by intensity (2θ from 5° to 70°):
- 35.4°, I 100.0
- 30.2°, I 89.5
- 28.8°, I 68.7
- 31.6°, I 47.6
- 43.3°, I 39.6
- 51.9°, I 29.3
- 55.4°, I 26.6
- 62.1°, I 23.9
- 68.0°, I 19.9
- 58.4°, I 17.7

Atomic structure:
```
data_BeIn2Se
_chemical_formula_sum 'Be2 In4 Se2'
_space_group_name_H-M_alt 'C m m 2'
_space_group_IT_number 35
_space_group_name_Hall 'C 2 -2'
_cell_length_a 3.6702
_cell_length_b 6.2027
_cell_length_c 8.4882
_cell_angle_alpha 90.00
_cell_angle_beta 90.00
_cell_angle_gamma 90.00
loop_
_atom_site_label
_atom_site_type_symbol
_atom_site_fract_x
_atom_site_fract_y
_atom_site_fract_z
Be1 Be 0.0000 0.0000 0.0000
In1 In 0.0000 0.0000 0.4438
In2 In 0.0000 0.5000 0.7608
Se1 Se 0.0000 0.5000 0.1272
```


Simulated powder diffractogram
Compound: Ag2BiO3
Radiation: Cu Kα X-rays
Structure: a crystal structure in Alexandria, relaxed with GGA-PBE
Kinematic intensities with the Lorentz-polarization factor, no thermal factor.

Main lines, by intensity (2θ from 5° to 70°):
- 33.7°, I 100.0
- 27.2°, I 58.2
- 33.1°, I 48.3
- 31.0°, I 42.5
- 56.1°, I 32.1
- 53.4°, I 20.8
- 30.8°, I 19.1
- 48.7°, I 16.5
- 34.4°, I 14.0
- 49.2°, I 13.6

Atomic structure:
```
data_Ag2BiO3
_chemical_formula_sum 'Ag8 Bi4 O12'
_space_group_name_H-M_alt 'P n n 2'
_space_group_IT_number 34
_space_group_name_Hall 'P 2 -2n'
_cell_length_a 6.1564
_cell_length_b 6.3444
_cell_length_c 9.7770
_cell_angle_alpha 90.00
_cell_angle_beta 90.00
_cell_angle_gamma 90.00
loop_
_atom_site_label
_atom_site_type_symbol
_atom_site_fract_x
_atom_site_fract_y
_atom_site_fract_z
Ag1 Ag 0.0301 0.2480 0.0000
Ag2 Ag 0.2470 0.4994 0.7445
Bi1 Bi 0.0000 0.0000 0.6458
Bi2 Bi 0.0000 0.5000 0.3529
O1 O 0.1076 0.7751 0.4948
O2 O 0.1768 0.8161 0.8072
O3 O 0.1935 0.6800 0.1815
```
Outcome:
Calculated PXRD pattern
Compound: AcPbAu2
Radiation: CuKα
Structure: DFT lattice parameters and positions (GGA-PBE)
Neutral-atom scattering factors, no anomalous dispersion.

Structural model:
```
data_AcPbAu2
_chemical_formula_sum 'Ac4 Pb4 Au8'
_cell_length_a 7.528
_cell_length_b 7.528
_cell_length_c 7.528
_cell_angle_alpha 90.00
_cell_angle_beta 90.00
_cell_angle_gamma 90.00
_symmetry_space_group_name_H-M 'F m -3 m'
_symmetry_Int_Tables_number 225
_symmetry_space_group_name_Hall '-F 4 2 3'
loop_
_atom_site_label
_atom_site_fract_x
_atom_site_fract_y
_atom_site_fract_z
Ac1 0.000 0.000 0.000
Pb1 0.000 0.000 0.500
Au1 0.250 0.250 0.250
```

Top 3 peaks for 2θ from 5° to 70°, in order of falling intensity:
d 2.661, intensity 100, hkl 2 2 0
d 1.537, intensity 39, hkl 4 2 2
d 1.882, intensity 18, hkl 4 0 0

* * * * *

Simulated powder diffractogram
Compound: BeIn2Se
Radiation: Cu Kα X-rays
Structure: a crystal structure in Alexandria, relaxed with GGA-PBE
Kinematic intensities with the Lorentz-polarization factor, no thermal factor.

Main lines, by intensity (2θ from 5° to 70°):
- 35.4°, I 100.0
- 30.2°, I 89.5
- 28.8°, I 68.7
- 31.6°, I 47.6
- 43.3°, I 39.6
- 51.9°, I 29.3
- 55.4°, I 26.6
- 62.1°, I 23.9
- 68.0°, I 19.9
- 58.4°, I 17.7

Atomic structure:
```
data_BeIn2Se
_chemical_formula_sum 'Be2 In4 Se2'
_space_group_name_H-M_alt 'C m m 2'
_space_group_IT_number 35
_space_group_name_Hall 'C 2 -2'
_cell_length_a 3.6702
_cell_length_b 6.2027
_cell_length_c 8.4882
_cell_angle_alpha 90.00
_cell_angle_beta 90.00
_cell_angle_gamma 90.00
loop_
_atom_site_label
_atom_site_type_symbol
_atom_site_fract_x
_atom_site_fract_y
_atom_site_fract_z
Be1 Be 0.0000 0.0000 0.0000
In1 In 0.0000 0.0000 0.4438
In2 In 0.0000 0.5000 0.7608
Se1 Se 0.0000 0.5000 0.1272
```


Simulated powder diffractogram
Compound: Ag2BiO3
Radiation: Cu Kα X-rays
Structure: a crystal structure in Alexandria, relaxed with GGA-PBE
Kinematic intensities with the Lorentz-polarization factor, no thermal factor.

Main lines, by intensity (2θ from 5° to 70°):
- 33.7°, I 100.0
- 27.2°, I 58.2
- 33.1°, I 48.3
- 31.0°, I 42.5
- 56.1°, I 32.1
- 53.4°, I 20.8
- 30.8°, I 19.1
- 48.7°, I 16.5
- 34.4°, I 14.0
- 49.2°, I 13.6

Atomic structure:
```
data_Ag2BiO3
_chemical_formula_sum 'Ag8 Bi4 O12'
_space_group_name_H-M_alt 'P n n 2'
_space_group_IT_number 34
_space_group_name_Hall 'P 2 -2n'
_cell_length_a 6.1564
_cell_length_b 6.3444
_cell_length_c 9.7770
_cell_angle_alpha 90.00
_cell_angle_beta 90.00
_cell_angle_gamma 90.00
loop_
_atom_site_label
_atom_site_type_symbol
_atom_site_fract_x
_atom_site_fract_y
_atom_site_fract_z
Ag1 Ag 0.0301 0.2480 0.0000
Ag2 Ag 0.2470 0.4994 0.7445
Bi1 Bi 0.0000 0.0000 0.6458
Bi2 Bi 0.0000 0.5000 0.3529
O1 O 0.1076 0.7751 0.4948
O2 O 0.1768 0.8161 0.8072